We all know that good food is medicine and that cleaning up our diets is often a key component of improving health. But it’s not only about adding healthy foods. For people with an autoimmune disease, like rheumatoid arthritis, celiac disease, or multiple sclerosis, seemingly healthy foods can trigger an inflammatory cascade. Enter the autoimmune protocol, an elimination diet that can tease out which foods are problems for you (and which you can eat freely.)
In autoimmune diseases, the body confuses healthy cells and foreign invaders, causing the immune system to attack and damage normal cells. The exact cause of these disorders is unclear, but one prevailing theory is that of the leaky gut.
A normal, healthy gut is somewhat permeable: It lets water and nutrients travel from the gut to the bloodstream but keeps harmful substances from passing through the same way. Some people, however, have too much permeability, so toxins and other substances can slip through and cause bodywide inflammation and an autoimmune response.
Certain foods are believed to increase the gut’s permeability. The AIP diet eliminates those foods (temporarily) to give the gut a chance to heal and tighten up the weak spots that allow the toxins through.
# Data records from another source follow
____________
Formula: C17H44N7O4P2
Source: OMol25
Level of theory: ωB97M-V/def2-TZVPD

The geometry in XYZ format:
```
74
Properties=species:S:1:pos:R:3:mulliken_charge:R:1
H 2.875 3.533 -3.763 0.2401
C -4.492 0.894 3.081 -1.1487
H 0.007 -0.611 5.609 0.3322
C 6.227 2.537 -2.311 -1.0877
H -2.925 -3.095 2.388 0.2337
H 6.622 -0.340 -2.024 0.2695
H -3.820 -2.893 -1.401 0.1833
H -1.703 1.203 6.626 0.4663
O -2.236 -0.228 2.024 -0.7557
H -4.852 -0.308 -2.343 0.2560
O -0.781 0.429 -4.328 -0.6547
H 1.942 1.146 -4.621 0.5567
H 5.981 -1.423 -3.262 0.3382
H 3.049 -1.441 -1.307 0.3679
C 5.016 3.372 -0.447 -1.1625
N 4.522 -0.263 -2.265 0.3141
H -4.582 -0.155 -5.896 0.2845
C 2.494 2.893 -2.966 -1.0273
P 3.963 1.124 -1.444 0.8265
C -0.918 -1.046 5.998 -1.0540
H 1.768 0.094 -3.205 0.3584
H -2.960 1.487 5.446 0.3427
H -5.435 1.174 3.561 0.3605
O -2.419 1.661 -5.644 -0.6718
H 0.245 -2.958 3.090 0.3027
N 3.225 1.619 -2.986 0.1018
C -0.314 -2.075 2.767 -1.1316
H 6.105 2.269 -3.364 0.2750
H -0.938 -0.888 7.083 0.4953
H -2.086 -0.351 -0.730 0.1607
H 4.712 -1.818 -0.823 0.3299
C -3.446 -0.186 -4.164 0.4030
O 4.605 0.693 -0.102 -0.8923
H -0.884 -2.132 5.875 0.2529
H -4.691 0.660 2.030 0.3346
H 6.645 3.551 -2.334 0.3394
N -1.565 -1.934 3.518 0.3004
H 6.970 1.893 -1.833 0.3199
H -2.020 -2.873 -2.461 0.2593
H -3.043 -3.288 4.165 0.2771
C -4.777 -1.346 3.813 -1.0181
H 4.086 -2.336 -2.406 0.3222
H -5.388 -0.720 -4.557 0.2848
N 4.954 2.498 -1.624 0.2207
H 6.054 0.262 -3.613 0.2669
H 2.606 3.430 -2.023 0.3209
H 5.284 4.396 -0.729 0.3587
H -5.804 -1.017 4.011 0.3433
N -2.091 -0.469 5.340 -0.0445
N -4.783 0.092 -4.881 -0.7757
H -3.202 -1.329 -4.403 0.1994
C -2.860 -2.323 -1.817 -0.7358
H 0.338 -1.212 2.939 0.3814
H -3.287 0.421 6.812 0.2505
H 5.743 3.010 0.288 0.3357
H -0.497 -2.151 1.689 0.2997
C -3.748 0.088 -2.562 -0.5693
C 4.079 -1.527 -1.669 -1.1632
C -2.777 -0.835 -1.561 0.0380
H 3.164 -0.043 -4.306 0.2408
C -2.527 0.717 6.088 -1.0713
C 5.860 -0.436 -2.797 -1.0633
H 1.414 2.761 -3.111 0.4779
H -4.539 -2.014 4.646 0.2615
H -3.850 1.781 3.117 0.3635
H 4.037 3.431 0.040 0.3594
C 2.489 0.657 -3.807 -1.1584
C -2.368 -3.126 3.324 -1.0267
H -3.722 1.217 -2.252 0.2292
C -2.193 0.694 -4.750 0.1320
H -4.790 -1.897 2.869 0.2977
H -1.745 -4.030 3.309 0.3487
N -3.856 -0.230 3.776 0.1777
P -2.168 -0.340 3.566 0.8195
```

Summary:
- net charge = -1
- 2S+1 = 1
- orbital gap (eV) = 4.89
- LUMO energy (eV) = 0.80



Formula: C6H7F5NO2
Source: OMol25
Level of theory: ωB97M-V/def2-TZVPD

The geometry in XYZ format:
```
21
Properties=species:S:1:pos:R:3:mulliken_charge:R:1
O -3.160 -0.292 0.940 -0.3038
F -1.425 1.829 -0.768 -0.2721
C -0.191 1.958 -1.392 0.9728
H 0.300 1.349 1.338 0.2632
F -0.775 -0.637 -0.970 -0.2926
C -2.967 -1.250 1.526 0.7134
H 2.161 0.276 0.249 0.2872
H 0.939 0.056 2.412 0.3822
H -0.592 -0.240 1.422 -0.3117
C 1.569 -1.660 0.259 -1.5426
H 1.864 -2.027 -0.708 0.3941
C 0.463 0.200 1.384 -0.6989
O -2.914 -2.228 2.112 -0.4027
F -1.397 2.125 -3.288 -0.2875
C 0.363 0.133 -1.082 0.3231
____________
Autoimmune diseases that may respond to the AIP include adrenal fatigue, ankylosing spondylitis, celiac disease, Hashimoto’s disease, lupus, multiple sclerosis, polycystic ovarian syndrome, psoriatic arthritis, rheumatoid arthritis, narcolepsy, lyme disease, type 1 diabetes, fibromyalgia, psoriasis, Crohn’s disease, and Graves’ disease.
It’s done in two phases: elimination and reintroduction.
The first step is to eliminate foods and medications that cause gut inflammation and permeability for about 30 days. (That’s how long it takes for the gut to heal.) In that time, you’ll want to avoid a variety of potential problem foods.
Some people eliminate all of these foods at once, while others prefer a more gradual approach and cut one food group at a time. Ultimately, the clock starts once all of the foods are out of your diet. It’s a good idea to keep a journal to track how you feel as your body heals.
During the elimination phase of the AIP, stock up on anti-inflammatory foods:
After three weeks, choose one food to reintroduce. The most common triggers are gluten and dairy, so they’re a good place to start. Don’t start a reintroduction during times of stress, after a poor night’s sleep, or when sick, as all of those factors can affect your results.
Eat a small amount of the food and wait 15 minutes to see if you have a reaction. If you don’t have symptoms, eat a larger portion and monitor how you feel for two to three hours. If you still have no reaction, eat a normal-sized portion of the food. Monitor any reaction to that food for one to two weeks. If you experience symptoms, like joint pain or fatigue at any time, end the test and note that the food is an irritant. If not, you can add the food to your safe list. Then choose the next food item on the list to add. Test one food at a time until you’ve worked though the list.
The elimination phase of the AIP is short. You don’t have to live without everything on that list for the rest of your life, but you’re likely to find a few things you’d do best to avoid long-term. One study showed that the AIP reduces inflammation and encouraged remission in 78 percent of the study participants. Decreasing inflammation is a key factor in healing with an autoimmune disorder. Remember, 70 percent of your immune system is located in your gut.